Retype the calculation results further down from the first line to the one with "0.7825" without additions.
********
Record 1
This record from the Materials Project describes a relaxed structure of Li5V3P8O29. The functional is PBE with a Hubbard U.

Unit cell a=9.7915 b=9.8029 c=13.9602 alpha=89.91 beta=89.84 gamma=60.04
With the nearest neighbours (Å) after each atom.
Atoms (fractional coordinates):
Li: 0.0000 0.0000 0.0000  3 O 1.93-2.11
Li: 0.0006 0.4437 0.5051  4 O 1.95-2.11
Li: 0.0959 0.6760 0.4409  6 O 2.30-2.43
Li: 0.1891 0.3560 0.8815  3 O 1.88-2.07
Li: 0.3201 0.7639 0.8799  3 O 1.93-2.03
Li: 0.4187 0.5831 0.5038  4 O 1.95-2.13
Li: 0.7545 0.3452 0.3270  1 O 1.85
Li: 0.7711 0.9039 0.8794  4 O 1.97-2.20
Li: 0.8603 0.0021 0.5046  4 O 1.95-2.11
Li: 0.8637 0.5823 0.0013  3 O 1.94-2.05
V: 0.0943 0.2419 0.6902  6 O 1.87-2.02
V: 0.1002 0.1029 0.1962  6 O 1.81-1.97
V: 0.5182 0.2485 0.1890  6 O 1.85-2.05
V: 0.5267 0.6759 0.6908  6 O 1.87-2.00
V: 0.6574 0.1114 0.6912  6 O 1.85-2.02
V: 0.6610 0.6787 0.1921  6 O 1.86-2.01
P: 0.0024 0.4501 0.2852  4 O 1.49-1.62
P: 0.0051 0.9967 0.7839  4 O 1.50-1.60
P: 0.1784 0.3591 0.1011  4 O 1.50-1.61
P: 0.1783 0.9022 0.5995  4 O 1.50-1.63
P: 0.3201 0.3661 0.5980  4 O 1.50-1.61
P: 0.3246 0.7624 0.0995  4 O 1.48-1.61
P: 0.4081 0.5862 0.2839  4 O 1.49-1.62
P: 0.4099 0.4447 0.7846  4 O 1.48-1.61
P: 0.4256 0.0088 0.8134  4 O 1.49-1.58
P: 0.4311 0.0111 0.3137  4 O 1.47-1.62
P: 0.7612 0.3427 0.5675  4 O 1.51-1.57
P: 0.7647 0.3386 0.0708  4 O 1.49-1.59
P: 0.7757 0.9088 0.1003  4 O 1.50-1.62
P: 0.7822 0.7618 0.6002  4 O 1.50-1.63
P: 0.8612 0.5884 0.7845  4 O 1.51-1.60
P: 0.8651 0.9930 0.2855  4 O 1.49-1.62
O: 0.0090 0.4228 0.7836  1 P 1.54
O: 0.0101 0.0191 0.2761  1 P 1.57
O: 0.0806 0.4545 0.3753  1 P 1.49
O: 0.0887 0.8875 0.5174  1 P 1.50
O: 0.0913 0.4354 0.0108  1 P 1.50
O: 0.0917 0.4687 0.1926  2 P 1.61-1.62
O: 0.0930 0.9249 0.8753  1 P 1.50
O: 0.1012 0.8804 0.6977  2 P 1.60-1.63
O: 0.1760 0.3390 0.6033  1 P 1.56
O: 0.1769 0.9325 0.1054  1 P 1.57
O: 0.1787 0.0573 0.6095  1 P 1.53
O: 0.1857 0.2010 0.1205  1 P 1.54
O: 0.2777 0.0161 0.2673  1 P 1.62, 1 V 1.81
O: 0.2788 0.1616 0.7714  1 P 1.58
O: 0.3014 0.4692 0.6924  2 P 1.61
O: 0.3015 0.6764 0.1918  2 P 1.61-1.62
O: 0.3066 0.4662 0.5134  1 P 1.50
O: 0.3221 0.6620 0.3742  1 P 1.49
O: 0.3272 0.6862 0.0076  1 P 1.48
O: 0.3296 0.4338 0.8719  1 P 1.48
O: 0.3468 0.3360 0.1041  1 P 1.55
O: 0.3499 0.7597 0.6024  1 P 1.56
O: 0.4166 0.0219 0.4190  1 P 1.47
O: 0.4202 0.8611 0.7727  1 P 1.58
O: 0.4228 0.0106 0.9204  1 P 1.49
O: 0.4310 0.1586 0.2662  1 P 1.59
O: 0.4324 0.4167 0.2739  1 P 1.56
O: 0.4330 0.5900 0.7822  1 P 1.55
O: 0.4731 0.2091 0.6102  1 P 1.53
O: 0.4761 0.7685 0.1207  1 P 1.54
O: 0.5712 0.2930 0.7638  1 P 1.56
O: 0.5726 0.5698 0.2721  1 P 1.54
O: 0.5734 0.8655 0.2699  1 P 1.54
O: 0.5797 0.0030 0.7734  1 P 1.58
O: 0.6052 0.4875 0.6054  1 P 1.57
O: 0.6172 0.0591 0.1200  1 P 1.54
O: 0.6186 0.3359 0.1193  1 P 1.59
O: 0.6257 0.7640 0.6116  1 P 1.53
O: 0.7116 0.5779 0.7641  1 P 1.55
O: 0.7153 0.1558 0.2736  1 P 1.55
O: 0.7537 0.9330 0.6034  1 P 1.56
O: 0.7579 0.7609 0.0998  1 P 1.54
O: 0.7636 0.3432 0.4591  1 P 1.51
O: 0.7648 0.4894 0.1079  1 P 1.57
O: 0.7664 0.3278 0.9645  1 P 1.49
O: 0.7707 0.1876 0.6052  1 P 1.57
O: 0.8328 0.5910 0.2758  1 P 1.55
O: 0.8408 0.0111 0.7825  1 P 1.54
O: 0.8469 0.6760 0.8760  1 P 1.51
O: 0.8520 0.9219 0.0100  1 P 1.50
O: 0.8769 0.9062 0.3756  1 P 1.49
O: 0.8824 0.6831 0.6977  2 P 1.60-1.63
O: 0.8844 0.8862 0.1926  2 P 1.62
O: 0.8852 0.6722 0.5173  1 P 1.50
O: 0.9051 0.3540 0.6066  1 P 1.57
O: 0.9144 0.1892 0.1146  1 P 1.59
O: 0.9900 0.2985 0.2710  1 P 1.56
O: 0.9921 0.1577 0.7623  1 P 1.55

Output
- symmetry = P1 (1)
- polymorph energy (0 for the lowest one) (meV per atom) = 5
- energy of formation (eV/atom) = -2.6157


Record 2
This record from the Materials Project describes a relaxed structure of Li3V3P4O16. The functional is PBE with a Hubbard U.

Unit cell a=10.1095 b=10.1095 c=10.6013 alpha=91.53 beta=91.53 gamma=37.27
With the nearest neighbours (Å) after each atom.
Atoms (fractional coordinates):
********
Record 1
This record from the Materials Project describes a relaxed structure of Li5V3P8O29. The functional is PBE with a Hubbard U.

Unit cell a=9.7915 b=9.8029 c=13.9602 alpha=89.91 beta=89.84 gamma=60.04
With the nearest neighbours (Å) after each atom.
Atoms (fractional coordinates):
Li: 0.0000 0.0000 0.0000  3 O 1.93-2.11
Li: 0.0006 0.4437 0.5051  4 O 1.95-2.11
Li: 0.0959 0.6760 0.4409  6 O 2.30-2.43
Li: 0.1891 0.3560 0.8815  3 O 1.88-2.07
Li: 0.3201 0.7639 0.8799  3 O 1.93-2.03
Li: 0.4187 0.5831 0.5038  4 O 1.95-2.13
Li: 0.7545 0.3452 0.3270  1 O 1.85
Li: 0.7711 0.9039 0.8794  4 O 1.97-2.20
Li: 0.8603 0.0021 0.5046  4 O 1.95-2.11
Li: 0.8637 0.5823 0.0013  3 O 1.94-2.05
V: 0.0943 0.2419 0.6902  6 O 1.87-2.02
V: 0.1002 0.1029 0.1962  6 O 1.81-1.97
V: 0.5182 0.2485 0.1890  6 O 1.85-2.05
V: 0.5267 0.6759 0.6908  6 O 1.87-2.00
V: 0.6574 0.1114 0.6912  6 O 1.85-2.02
V: 0.6610 0.6787 0.1921  6 O 1.86-2.01
P: 0.0024 0.4501 0.2852  4 O 1.49-1.62
P: 0.0051 0.9967 0.7839  4 O 1.50-1.60
P: 0.1784 0.3591 0.1011  4 O 1.50-1.61
P: 0.1783 0.9022 0.5995  4 O 1.50-1.63
P: 0.3201 0.3661 0.5980  4 O 1.50-1.61
P: 0.3246 0.7624 0.0995  4 O 1.48-1.61
P: 0.4081 0.5862 0.2839  4 O 1.49-1.62
P: 0.4099 0.4447 0.7846  4 O 1.48-1.61
P: 0.4256 0.0088 0.8134  4 O 1.49-1.58
P: 0.4311 0.0111 0.3137  4 O 1.47-1.62
P: 0.7612 0.3427 0.5675  4 O 1.51-1.57
P: 0.7647 0.3386 0.0708  4 O 1.49-1.59
P: 0.7757 0.9088 0.1003  4 O 1.50-1.62
P: 0.7822 0.7618 0.6002  4 O 1.50-1.63
P: 0.8612 0.5884 0.7845  4 O 1.51-1.60
P: 0.8651 0.9930 0.2855  4 O 1.49-1.62
O: 0.0090 0.4228 0.7836  1 P 1.54
O: 0.0101 0.0191 0.2761  1 P 1.57
O: 0.0806 0.4545 0.3753  1 P 1.49
O: 0.0887 0.8875 0.5174  1 P 1.50
O: 0.0913 0.4354 0.0108  1 P 1.50
O: 0.0917 0.4687 0.1926  2 P 1.61-1.62
O: 0.0930 0.9249 0.8753  1 P 1.50
O: 0.1012 0.8804 0.6977  2 P 1.60-1.63
O: 0.1760 0.3390 0.6033  1 P 1.56
O: 0.1769 0.9325 0.1054  1 P 1.57
O: 0.1787 0.0573 0.6095  1 P 1.53
O: 0.1857 0.2010 0.1205  1 P 1.54
O: 0.2777 0.0161 0.2673  1 P 1.62, 1 V 1.81
O: 0.2788 0.1616 0.7714  1 P 1.58
O: 0.3014 0.4692 0.6924  2 P 1.61
O: 0.3015 0.6764 0.1918  2 P 1.61-1.62
O: 0.3066 0.4662 0.5134  1 P 1.50
O: 0.3221 0.6620 0.3742  1 P 1.49
O: 0.3272 0.6862 0.0076  1 P 1.48
O: 0.3296 0.4338 0.8719  1 P 1.48
O: 0.3468 0.3360 0.1041  1 P 1.55
O: 0.3499 0.7597 0.6024  1 P 1.56
O: 0.4166 0.0219 0.4190  1 P 1.47
O: 0.4202 0.8611 0.7727  1 P 1.58
O: 0.4228 0.0106 0.9204  1 P 1.49
O: 0.4310 0.1586 0.2662  1 P 1.59
O: 0.4324 0.4167 0.2739  1 P 1.56
O: 0.4330 0.5900 0.7822  1 P 1.55
O: 0.4731 0.2091 0.6102  1 P 1.53
O: 0.4761 0.7685 0.1207  1 P 1.54
O: 0.5712 0.2930 0.7638  1 P 1.56
O: 0.5726 0.5698 0.2721  1 P 1.54
O: 0.5734 0.8655 0.2699  1 P 1.54
O: 0.5797 0.0030 0.7734  1 P 1.58
O: 0.6052 0.4875 0.6054  1 P 1.57
O: 0.6172 0.0591 0.1200  1 P 1.54
O: 0.6186 0.3359 0.1193  1 P 1.59
O: 0.6257 0.7640 0.6116  1 P 1.53
O: 0.7116 0.5779 0.7641  1 P 1.55
O: 0.7153 0.1558 0.2736  1 P 1.55
O: 0.7537 0.9330 0.6034  1 P 1.56
O: 0.7579 0.7609 0.0998  1 P 1.54
O: 0.7636 0.3432 0.4591  1 P 1.51
O: 0.7648 0.4894 0.1079  1 P 1.57
O: 0.7664 0.3278 0.9645  1 P 1.49
O: 0.7707 0.1876 0.6052  1 P 1.57
O: 0.8328 0.5910 0.2758  1 P 1.55
O: 0.8408 0.0111 0.7825  1 P 1.54